Informative, jargon-free stories about law reform, legal education, test cases, miscarriages of justice and legal culture. The Law Report makes the law accessible.
How to de-radicalise juvenile terror offenders. And speech pathologists unpacking legal jargon.
08/10/2019 Duration: 28minA rare insight into how to de-program young offenders with extremist views. And meet a speech pathologist who helps translate legal gobbledy-gook, especially for youth in the criminal justice system.
Climate change litigation targets super fund
01/10/2019 Duration: 28minIn a world first, a 24 year-old Brisbane man is taking legal action against his superannuation fund for not factoring climate change into its investment decision. This month the case against REST, the Retail Employees Superannuation Trust, will be back before the Federal Court, where the Judge is expected to set a hearing date.
Neutral legal observers at protests. And digital estates after death.
24/09/2019 Duration: 28minAt both the recent Climate Change marches around Australia and the continuing Hong Kong pro-democracy protests, neutral legal observers document security and protest behaviours in the name of maintaining the rule of law. And, the mysterious case of the Canadian crypto currency trader and the missing millions. It raises the question: when someone dies what happens to their digital assets?
Profiling an arsonist, and an unusual inheritance battle
17/09/2019 Duration: 28minA number of people have been arrested and charged in connection with lighting fires in Queensland. Why do people light bushfires? Can we prevent someone going down that path? And, an elderly couple are tragically found dead in their English cottage. Two stepsisters battle in court over which parent died first in order to get the inheritance.
Drug testing welfare recipients; US Opioid litigation and over-prescribing painkillers in Australia
10/09/2019 Duration: 28minLitigation around the opioid crisis in the US, medical negligence cases involving over prescription in Australia and VAADA's response to the Federal government's desire to trial mandatory drug testing for some welfare recipients.
Sandwich boards and skywriting: what's legal and what's not?
03/09/2019 Duration: 28minDanny Lim is well known for wearing sandwich boards emblazoned with provocative word plays. A Sydney Magistrate has overturned a $500 fine imposed on the 75-year-old pensioner for offensive behaviour. Also, what are the regulations around political messages in the sky? And Vale: Justice Jane Matthews.
Is Pell off to the High Court of Australia?
27/08/2019 Duration: 28minCardinal George Pell's legal team have confirmed that they will seek leave to appeal to the High Court of Australia. This follows the majority two to one decision of the Victorian Court of Appeal which upheld Pell's conviction on child sex offences. So what exactly did the three judges of the Victorian Court of Appeal decide and what are the prospects of any High Court appeal?
Bullying and sexual harassment in the legal profession
20/08/2019 Duration: 28minA global study across 135 countries by the International Bar Association has found that bullying and sexual harassment is widespread in the legal profession. The report makes a number of recommendations to change the culture and work environment in the law office.
Is the High Court gagging Australia's public servants?
13/08/2019 Duration: 28minA former public servant has lost her free speech argument in the High Court over tweets that were critical of her department's policies. Will this change the way you use social media? Plus, a new study has found that Indigenous people in the Northern Territory found guilty of driving offences are more likely to go to jail than non-Indigenous offenders.
As the Laws of War turn 70, what's to celebrate? And a case of unpaid rent
06/08/2019 Duration: 28minThe Laws of War are designed to protect civilians and to place some limits on what combatants can do to each other. 70 years on, how relevant are the Geneva Conventions? And the case of the landlord who was owed $7000 in unpaid rent on a small factory. In retaliation, he kept his tenant's property and equipment.
Who judges the judges?
30/07/2019 Duration: 28minThe behaviour of three controversial judges raises questions about addressing incompetence and incapacity in the judiciary.
Youth justice, Maori style
23/07/2019 Duration: 28minSit in on a Rangatahi, one of the Maori Youth Courts of New Zealand. Find out how they compare to Indigenous courts in Australia.
No handcuffs, no uniform: a different approach to youth justice
## Calculated crystals, as found in the file
Entry 1:
Computed, not measured: a geometry-optimized SiO2 structure at the GGA-PBE level of DFT.

Structure (POSCAR):
```
SiO2
1.0
8.323 0.000 0.000
4.159 7.211 0.000
0.063 0.022 10.427
Si O
18 36
Direct
0.458 0.827 0.414
0.126 0.499 0.751
0.789 0.164 0.084
0.207 0.461 0.418
0.876 0.131 0.749
0.539 0.794 0.084
0.835 0.210 0.419
0.499 0.879 0.749
0.161 0.546 0.081
0.124 0.869 0.251
0.793 0.539 0.582
0.461 0.206 0.916
0.501 0.121 0.251
0.165 0.790 0.581
0.839 0.454 0.919
0.874 0.501 0.249
0.542 0.173 0.586
0.211 0.836 0.916
0.668 0.674 0.209
0.336 0.342 0.542
0.002 0.009 0.874
0.158 0.668 0.208
0.839 0.330 0.544
0.497 0.001 0.875
0.666 0.162 0.209
0.333 0.833 0.539
0.002 0.498 0.877
0.003 0.005 0.373
0.669 0.674 0.705
0.332 0.340 0.041
0.501 0.994 0.373
0.168 0.665 0.707
0.827 0.333 0.042
0.998 0.502 0.376
0.668 0.171 0.709
0.333 0.831 0.040
0.667 0.169 0.960
0.332 0.829 0.291
0.002 0.498 0.624
0.668 0.660 0.959
0.331 0.326 0.295
0.997 0.995 0.627
0.173 0.667 0.958
0.832 0.335 0.293
0.499 0.006 0.627
0.998 0.991 0.126
0.664 0.658 0.458
0.332 0.326 0.791
0.998 0.502 0.123
0.667 0.167 0.461
0.334 0.838 0.791
0.503 0.999 0.125
0.161 0.670 0.456
0.842 0.332 0.792
```

* E (MP2020): -436.3 eV for the cell shown
* mass density: 2.87 Mg/m³
* total magnetic moment: 0.000 μB per formula unit
* calculated formation energy: -2.973 eV per atom

=====

Entry 2:
Computed, not measured: a geometry-optimized Cr3S4 structure at the GGA-PBE level of DFT.

Structure (POSCAR):
```
Cr3S4
1.0
-1.834 1.444 -6.144
-1.549 -2.017 -6.060
-5.942 -0.519 -1.196
Cr S
3 4
Direct
0.000 0.000 0.000
0.736 0.736 0.280
0.264 0.264 0.720
0.125 0.125 0.551
0.634 0.634 0.019
0.366 0.366 0.981
0.875 0.875 0.449
```

* E (MP2020): -52.1 eV for the cell shown
* mass density: 3.95 Mg/m³
* calculated formation energy: -0.946 eV per atom

=====

Entry 3:
Computed, not measured: a geometry-optimized NaAl3 structure at the GGA-PBE level of DFT.

Structure (POSCAR):
```
NaAl3
1.0
4.220 0.000 0.000
0.000 4.220 0.000
0.000 0.000 4.220
Na Al
1 3
Direct
0.000 0.000 0.000
0.000 0.500 0.500
0.500 0.000 0.500
0.500 0.500 0.000
```

* mass density: 2.30 Mg/m³
* total magnetic moment: 0.000 μB per formula unit
* calculated formation energy: 0.166 eV per atom

=====

Entry 4:
Computed, not measured: a geometry-optimized La2Ni7 structure at the GGA-PBE level of DFT.

Structure (POSCAR):
```
La2Ni7
1.0
2.512 -4.351 0.000
2.512 4.351 0.000
0.000 0.000 24.590
La Ni
8 28
Direct
0.333 0.667 0.326
0.667 0.333 0.826
0.667 0.333 0.674
0.333 0.667 0.174
0.333 0.667 0.469
0.667 0.333 0.969
0.667 0.333 0.531
0.333 0.667 0.031
0.834 0.166 0.413
0.834 0.667 0.413
0.333 0.166 0.413
0.667 0.834 0.913
0.166 0.333 0.587
0.166 0.834 0.913
0.166 0.333 0.913
0.834 0.166 0.087
0.000 0.000 0.000
0.000 0.000 0.500
0.000 0.000 0.169
0.000 0.000 0.669
0.000 0.000 0.831
0.000 0.000 0.331
0.333 0.667 0.832
0.667 0.333 0.332
0.667 0.333 0.168
0.333 0.667 0.668
0.833 0.666 0.250
0.167 0.833 0.750
0.666 0.833 0.750
0.334 0.167 0.250
16/07/2019 Duration: 28minCome on a tour of Korowai Manaaki Youth Residence in Auckland. Meet the troubled young offenders and the people who care for them. What can we learn from NZ and what can they learn from us?
Can the law help reduce the risk of suicide for international students?
09/07/2019 Duration: 28minA Victorian coroner is calling for universities and the federal government to work together to help international students at risk of suicide.
A selfie, credit card and CCTV: a burglar's digital trail
02/07/2019 Duration: 28minIt was a case of 'guilty by social media' when a burglar's twelve day, $58,000 crime spree was brought undone by his glaring digital fingerprints.
The dog helping survivors give harrowing evidence
25/06/2019 Duration: 28minIn an Australian first, highly trained Labradors are supporting vulnerable witnesses in Victorian criminal trials.
Controversial repayment scheme found to be legal in remote SA and a draft bill to curb tertiary cheating
Inserted here: data records
┌──
Run one
Entry from the Materials Project: a relaxed structure of Tb2MgSe4 (GGA-PBE).

* theoretical density: 5.68 Mg/m³
* size of the total moment: 0.0 Bohr magnetons per cell

Unit cell a=8.173 b=7.761 c=12.130 alpha=90.00 beta=90.00 gamma=90.00
Atoms (fractional coordinates):
Tb 0.056 0.250 0.022
Tb 0.058 0.750 0.312
Tb 0.442 0.250 0.812
Tb 0.444 0.750 0.522
Tb 0.556 0.250 0.478
Tb 0.558 0.750 0.188
Tb 0.942 0.250 0.688
Tb 0.944 0.750 0.978
Mg 0.176 0.250 0.405
Mg 0.324 0.750 0.905
Mg 0.676 0.250 0.095
Mg 0.824 0.750 0.595
Se 0.115 0.750 0.544
Se 0.128 0.502 0.842
Se 0.128 0.998 0.842
Se 0.232 0.750 0.112
Se 0.268 0.250 0.612
Se 0.372 0.002 0.342
Se 0.372 0.498 0.342
Se 0.385 0.250 0.044
Se 0.615 0.750 0.956
Se 0.628 0.502 0.658
Se 0.628 0.998 0.658
Se 0.732 0.750 0.388
Se 0.768 0.250 0.888
Se 0.872 0.002 0.158
Se 0.872 0.498 0.158
Se 0.885 0.250 0.456

***

Run two
Entry from the Materials Project: a relaxed structure of Tb2MgSe4 (GGA-PBE).

* theoretical density: 6.59 Mg/m³
* size of the total moment: 0.0 Bohr magnetons per cell

Unit cell a=7.554 b=7.554 c=7.554 alpha=110.58 beta=110.58 gamma=107.27
Atoms (fractional coordinates):
Tb 0.007 0.625 0.882
Tb 0.375 0.257 0.382
Tb 0.743 0.125 0.118
Tb 0.875 0.993 0.618
Mg 0.250 0.750 0.500
Mg 0.500 0.500 0.000
Se 0.007 0.878 0.263
Se 0.122 0.385 0.129
Se 0.135 0.372 0.629
Se 0.256 0.993 0.871
Se 0.494 0.865 0.237
Se 0.615 0.744 0.737
Se 0.628 0.257 0.763
Se 0.743 0.506 0.371

***

The data favor run two; the next most stable structure lies 144 meV per atom above it.

***

Run one
Entry from the Materials Project: a relaxed structure of Tb2MgSe4 (GGA-PBE).

* theoretical density: 4.92 Mg/m³
* size of the total moment: 0.0 Bohr magnetons per cell

Unit cell a=7.504 b=8.700 c=13.861 alpha=80.79 beta=84.54 gamma=89.98
Atoms (fractional coordinates):
Tb 0.132 0.444 0.200
Tb 0.132 0.956 0.197
Tb 0.259 0.127 0.499
Tb 0.364 0.300 0.801
Tb 0.636 0.700 0.199
Tb 0.741 0.873 0.501
Tb 0.868 0.044 0.803
Tb 0.868 0.556 0.800
Mg 0.251 0.623 0.503
Mg 0.367 0.801 0.797
Mg 0.633 0.199 0.203
Mg 0.749 0.377 0.497
Se 0.095 0.407 0.399
Se 0.106 0.895 0.396
Se 0.194 0.543 0.873
Se 0.196 0.020 0.874
Se 0.310 0.719 0.122
Se 0.330 0.219 0.125
Se 0.392 0.843 0.609
Se 0.406 0.356 0.602
Se 0.594 0.644 0.398
Se 0.608 0.157 0.391
Se 0.670 0.781 0.875
Se 0.690 0.281 0.878
Se 0.804 0.980 0.126
Se 0.806 0.457 0.127
Se 0.894 0.105 0.604
Se 0.905 0.593 0.601

***

Run two
Entry from the Materials Project: a relaxed structure of Tb2MgSe4 (GGA-PBE).

* theoretical density: 5.76 Mg/m³
* size of the total moment: 0.0 Bohr magnetons per cell

Unit cell a=13.197 b=4.034 c=14.253 alpha=90.00 beta=90.00 gamma=90.00
Atoms (fractional coordinates):
Tb 0.117 0.250 0.073
Tb 0.140 0.250 0.703
Tb 0.360 0.750 0.203
Tb 0.383 0.750 0.573
Tb 0.617 0.250 0.427
Tb 0.640 0.250 0.797
Tb 0.860 0.750 0.297
Tb 0.883 0.750 0.927
Mg 0.109 0.750 0.456
Mg 0.391 0.250 0.956
Mg 0.609 0.750 0.044
Mg 0.891 0.250 0.544
Se 0.006 0.750 0.617
Se 0.028 0.250 0.882
└──
18/06/2019 Duration: 28minA remote store owner who ran a Book-up credit scheme for Indigenous customers has had his conviction for unconscionable conduct thrown out by the High Court. And the Federal Government is proposing new laws that would make it an offence to provide or advertise academic cheating services in tertiary education.
Reforming family law in Australia
11/06/2019 Duration: 28minThe Australian family law system is to be overhauled, so what reforms are required to meet the needs of Australian families?
Killings and coverups: Can a killer inherit a victim's estate?
04/06/2019 Duration: 28minA convicted murderer can never inherit their victim's estate, but what about someone who helps cover up the killing?
Oliver Yates claims 2019 electoral signage misleading, Victorian Law Reform Commission reviews contempt of court laws
28/05/2019 Duration: 29minOliver Yates, the unsuccessful independent candidate for the seat of Kooyong plans to take the Liberal Party to the Court of Disputed Returns over Chinese language how to vote signage. And the Victorian Law Reform Commission has just released a consultation paper exploring the many complex issues around contempt of court, seeking input on its review of contempt of court laws.